Oh my I've missed so much!! Over 20 pages to read back through!! Haha, will do my best to make sure I include everyone
Kk, taxes are the worst. We have it pretty easy here in Aus, compared to you (what with GST and all) but it's still a real pain. Sorry you had to g through all of that but thankfully it's over now
Lilesmom, your poor little blossom xx Hopefully all is well with him. I'm sure your little bean is doing well. You may just find your hormones are settling a little bit. I know I started to feel better for a few weeks in the first Tri, then it all came back xx Good luck for your scan
Matts, CONGRATS!! A beautiful line!!

Wishing you a happy and healthy 9 months xx
Curiosity, temps are looking good to me sweetie xx Fx'd for a nice healthy eggy and plenty of swimmers go catch her! This is the best part.
Les, your chart looks pretty good as well! That temp rise!! TWW yet? Best of luck to you xx
Glong, I would definitely BD as much as you can until cd16-17. I've never had much luck with OPKS myself though. Fx'd you catch that little eggy and you get a beautiful two lined surprise very soon
Greenarcher, love the ideas to slice it up, haha. There's no way DH's can resist the upper lips
Arturia, I'm sorry it has all gone down this way

# Crystal structures, kept here for reference
This entry pairs a crystal structure of Li2Pd5Au4 with its simulated PXRD pattern. Radiation: Cu Kα X-rays. Structure: a structure optimized by DFT (PBE).
Lines closer than 0.1° are merged.

Structure:
a b c (Å): 15.2124 3.8387 6.5874
angles (deg): 90.00 90.42 90.00
Space group C2/m (No. 12)
Unique sites:
Li (0.0778, 0.0000, 0.1232) x4
Pd (0.0000, 0.0000, 0.5000) x2
Pd (0.1142, 0.5000, 0.4136) x4
Pd (0.1914, 0.5000, 0.0502) x4
Au (0.0462, 0.5000, 0.8083) x4
Au (0.2442, 0.0000, 0.3359) x4

Principal peaks in the range 2θ from 5° to 70°, in order of rising 2θ:
2θ/deg  Rel. int.
23.4  24
23.9  52
27.5  39
40.1  100
40.3  99
43.0  41
47.4  32
65.8  23
# The page goes on

I'm glad you have found a solution though. I also enjoy doing budgets and financial calculations, I don't think I could do it as a job though! Lol. I'm horrid at math, haha. Lots of hugs to you sweetie xx
I hope I didn't miss anyone!!
AFM, been taking a bit of a break from thinking about TTC. Easy to do when AF is in town, lol. Vitex has helped a lot in that regard, nowhere near as painful as usual although lasted a bit longer but I'll take those extra two days of spotting if it means I can function as a normal human, lol. We've decided to start going with the flow (kind of NTNP) as hubby told me he is worried my mental health will go down the tubes again. It's kind of settled on us that we may be in this for the long haul again. So now I'm not going to symptom spot or obsess over my TWW temps, or any of it really. We always BD whenever we felt like it (hubby has a big appetite

## Inserted here: materials data
~~~
Entry 1:
This entry pairs a crystal structure of Pu8GePt5 with its computed XRD peak list. Radiation: Cu Ka. Structure: the GGA-PBE geometry in Alexandria.

Cell lengths 8.753, 8.753, 8.632 Å; angles 90.00, 90.00, 90.00 degrees
Space group I-4 (No. 82)
Inequivalent atoms, fractional coordinates:
Pu 0.069 0.173 0.192 [8 per cell]
Pu 0.069 0.320 0.551 [8 per cell]
Ge 0.000 0.500 0.250 [2 per cell]
Pt 0.000 0.000 0.500 [2 per cell]
Pt 0.129 0.252 0.874 [8 per cell]

Top 10 peaks for 15° ≤ 2θ ≤ 90°, in order of rising 2θ:
- 32.37°, I 100
- 32.76°, I 46
- 38.52°, I 34
- 38.64°, I 29
- 38.84°, I 35
- 51.25°, I 18
- 53.40°, I 14
- 53.65°, I 10
- 53.87°, I 12
- 65.83°, I 19

***

Entry 2:
This entry pairs a crystal structure of K4SO with its computed XRD peak list. Radiation: Cu Ka. Structure: the GGA-PBE geometry in Alexandria.

Cell lengths 7.193, 9.895, 9.788 Å; angles 90.00, 90.00, 90.00 degrees
Space group Pbcm (No. 57)
Inequivalent atoms, fractional coordinates:
K 0.122 0.031 0.250 [4 per cell]
K 0.174 0.750 0.000 [4 per cell]
K 0.325 0.085 0.575 [8 per cell]
S 0.483 0.674 0.250 [4 per cell]
O 0.000 0.000 0.000 [4 per cell]

Top 10 peaks for 15° ≤ 2θ ≤ 90°, in order of rising 2θ:
- 27.93°, I 73
- 28.50°, I 50
- 29.80°, I 100
- 30.85°, I 28
- 31.43°, I 85
- 32.16°, I 68
- 32.88°, I 61
- 35.10°, I 32
- 41.91°, I 33
- 45.99°, I 32

***

Entry 3:
This entry pairs a crystal structure of YH6Pd5 with its computed XRD peak list. Radiation: Cu Ka. Structure: the GGA-PBE geometry in Alexandria.

Cell lengths 4.450, 5.500, 6.246 Å; angles 102.81, 106.31, 112.78 degrees
Space group P-1 (No. 2)
Inequivalent atoms, fractional coordinates:
Y 0.000 0.000 0.000 [1 per cell]
H 0.143 0.250 0.563 [2 per cell]
H 0.240 0.714 0.131 [2 per cell]
H 0.421 0.742 0.704 [2 per cell]
Pd 0.174 0.511 0.837 [2 per cell]
Pd 0.320 0.016 0.658 [2 per cell]
Pd 0.500 0.500 0.500 [1 per cell]

Top 10 peaks for 15° ≤ 2θ ≤ 90°, in order of rising 2θ:
- 33.87°, I 100
- 35.62°, I 84
- 36.49°, I 81
- 37.07°, I 78
- 38.27°, I 68
- 40.73°, I 58
- 45.40°, I 42
- 55.50°, I 25
- 58.71°, I 19
- 60.10°, I 19

***

Entry 4:
This entry pairs a crystal structure of PmPaAu2O8 with its computed XRD peak list. Radiation: Cu Ka. Structure: the GGA-PBE geometry in Alexandria.

Cell lengths 7.191, 7.191, 7.212 Å; angles 90.00, 90.00, 90.00 degrees
Space group I-4m2 (No. 119)
Inequivalent atoms, fractional coordinates:
Pm 0.000 0.000 0.000 [2 per cell]
Pa 0.000 0.500 0.750 [2 per cell]
Au 0.000 0.000 0.500 [2 per cell]
Au 0.000 0.500 0.250 [2 per cell]
O 0.000 0.192 0.719 [8 per cell]
O 0.000 0.332 0.031 [8 per cell]

Top 10 peaks for 15° ≤ 2θ ≤ 90°, in order of rising 2θ:
- 24.76°, I 100
- 30.39°, I 99
- 35.30°, I 31
- 47.26°, I 74
- 50.79°, I 15
- 57.15°, I 20
- 57.30°, I 17
- 60.34°, I 21
- 71.89°, I 17
- 82.70°, I 14

***

Entry 5:
This entry pairs a crystal structure of Tc2OsSe with its computed XRD peak list. Radiation: Cu Ka. Structure: the GGA-PBE geometry in Alexandria.
~~~

) I think this is the best approach for us right now. Easy to say now as TWW is ages away yet, lol. Just going to focus on getting my cycle regulated and just have fun with it. Last night was great but all I can think is that I'm disappointment about it

(What comes next are records of crystals, not part of the article)
No. 1
Diffraction record for Pu4CdPd12. The powder diffractogram is calculated, not measured: it uses the PBE geometry in Alexandria and Cu Kα (λ = 1.5418 Å).

The 10 most intense peaks (10 to 80 degrees two-theta), by angle:
d/Å, two_theta, I_rel
3.045, 29.33, 33.4
2.486, 36.13, 100.0
2.302, 39.14, 9.4
2.153, 41.96, 60.2
1.926, 47.20, 10.0
1.836, 49.65, 8.7
1.522, 60.84, 34.1
1.362, 68.96, 11.8
1.298, 72.85, 29.3
1.243, 76.66, 9.7

Cell and atoms:
```
17
Lattice="-4.3062 4.3062 4.3062 4.3062 -4.3062 4.3062 4.3062 4.3062 -4.3062" Properties=species:S:1:pos:R:3 pbc="T T T"
Pu 2.1531 2.1531 -2.1531
Pu 2.1531 -2.1531 2.1531
Pu -2.1531 2.1531 2.1531
Pu 2.1531 2.1531 2.1531
Cd 0.0000 0.0000 0.0000
Pd 2.6229 0.0000 0.0000
Pd 5.9894 0.0000 0.0000
Pd 4.3062 2.1531 0.0000
Pd 4.3062 0.0000 2.1531
Pd 0.0000 2.6229 0.0000
Pd 0.0000 0.0000 2.6229
Pd 2.1531 4.3062 0.0000
Pd 2.1531 0.0000 4.3062
Pd 0.0000 5.9894 0.0000
Pd 0.0000 0.0000 5.9894
Pd 0.0000 4.3062 2.1531
Pd 0.0000 2.1531 4.3062
```

---

No. 2
Diffraction record for Pu2Cd2Pd3. The powder diffractogram is calculated, not measured: it uses the PBE geometry in Alexandria and Cu Kα (λ = 1.5418 Å).

The 10 most intense peaks (10 to 80 degrees two-theta), by angle:
d/Å, two_theta, I_rel
4.515, 19.66, 19.6
3.463, 25.72, 18.2
3.251, 27.43, 8.3
2.489, 36.09, 29.5
2.411, 37.30, 26.9
2.358, 38.16, 100.0
1.732, 52.87, 19.7
1.410, 66.30, 14.7
1.382, 67.79, 9.2
1.381, 67.89, 9.2

Cell and atoms:
```
7
Lattice="4.8211 0.0000 0.0000 0.0072 4.9778 0.0000 2.4033 2.4775 6.4406" Properties=species:S:1:pos:R:3 pbc="T T T"
Pu 1.2089 1.2451 1.6248
Pu 6.0227 6.2102 4.8158
Cd 3.6134 3.7204 4.7355
Cd 3.6182 3.7349 1.7051
Pd 1.2052 3.7276 3.2203
Pd 1.2083 3.7349 0.0714
Pd 6.0233 3.7204 6.3692
```

---

No. 3
Diffraction record for Pu3Cd2Pd3. The powder diffractogram is calculated, not measured: it uses the PBE geometry in Alexandria and Cu Kα (λ = 1.5418 Å).

The 10 most intense peaks (10 to 80 degrees two-theta), by angle:
d/Å, two_theta, I_rel
4.271, 20.80, 7.2
3.351, 26.60, 14.4
2.703, 33.14, 32.3
2.651, 33.81, 35.5
2.369, 37.97, 100.0
1.893, 48.07, 23.0
1.488, 62.42, 17.8
1.470, 63.26, 22.5
1.325, 71.17, 11.3
1.318, 71.59, 8.1

Cell and atoms:
```
8
Lattice="-1.5191 2.6509 10.8131 1.5191 -2.6509 10.8131 1.5191 2.6509 -10.8131" Properties=species:S:1:pos:R:3 pbc="T T T"
Pu 0.0000 0.0000 0.0000
Pu 1.5191 0.0000 8.1440
Pu 0.0000 2.6509 2.6692
Cd 0.0000 0.0000 5.0243
Cd 0.0000 0.0000 16.6019
Pd 1.5191 0.0000 2.6160
Pd 0.0000 0.0000 10.8131
Pd 0.0000 2.6509 8.1972
```

---

No. 4
Diffraction record for Pu3CdPd6. The powder diffractogram is calculated, not measured: it uses the PBE geometry in Alexandria and Cu Kα (λ = 1.5418 Å).

The 10 most intense peaks (10 to 80 degrees two-theta), by angle:
d/Å, two_theta, I_rel
3.197, 27.91, 14.7
2.921, 30.60, 33.0
2.661, 33.68, 18.3
2.582, 34.74, 24.4
2.540, 35.34, 23.7
2.438, 36.87, 49.6
2.413, 37.27, 100.0
2.347, 38.35, 43.0
2.301, 39.15, 14.2
2.117, 42.71, 15.7

Cell and atoms:
```
(Back to the article)

We BD like normal until it was the grand finale and hubby asked for it to be in my mouth instead (TMI sorry!!!) That was fine, even though I had ewcm. We settled into our nightly routine and then he surprised me when we went to bed with a lot of forplay and well, the rest is history. It was amazing but all I can think is there would have been barely any swimmers, it was like water (I've got to work in that, lol).
On another note, hubby is giving me my first driving lesson when he gets home from work today! I was 4 years late in getting my learners license and I've had it for 6 months already and no hours up

Only 6 months left before I need the 100 to get my provisionals, so I need to get a move on! Anxiety needs to take the back seat for a bit, lol.
Hoping everyone is well

Lots of

and another congrats to our new mummies xxx